Thursday, December 17, 2015

Something is rotten in the state of Denmark. Er, Tamil Nadu

It has been a few days since the catastrophic rains and floods.  I have been walking around, yes, but not any long radius from home.  I am intentionally a lot more restricted in my movements this time--in some parts, I see and smell sewage-smelling stagnant water, which is not what I want to encounter.

Misplaced data records >
____________
(1)
A geometry-optimized Li3Ag3Sn structure, computed with PBE.

POSCAR file:
```
Li3Ag3Sn
1.0
-4.165 2.037 -1.309
-3.833 -5.930 2.966
1.607 6.088 4.361
Li Ag Sn
6 6 2
direct
0.750 0.627 0.531
0.750 0.469 0.096
0.750 0.904 0.373
0.250 0.373 0.469
0.250 0.531 0.904
0.250 0.096 0.627
0.250 0.815 0.756
0.250 0.244 0.059
0.250 0.941 0.185
0.750 0.185 0.244
0.750 0.756 0.941
0.750 0.059 0.815
0.250 0.667 0.333
0.750 0.333 0.667
```

Computed properties:
Energy above the most stable polymorph in this dataset   0 kJ/mol of formula units

***

(2)
A geometry-optimized Li2Ag2Sn5 structure, computed with PBE.

POSCAR file:
```
Li2Ag2Sn5
1.0
-1.166 2.554 6.578
-5.969 -3.996 0.494
7.252 -3.996 2.837
Li Ag Sn
4 4 10
direct
0.635 0.863 0.000
0.365 0.137 0.000
0.135 0.637 0.000
0.865 0.363 0.000
0.000 0.206 0.413
0.500 0.706 0.413
0.000 0.794 0.587
0.500 0.294 0.587
0.000 0.000 0.000
0.500 0.500 0.000
0.844 0.795 0.278
0.156 0.483 0.278
0.344 0.983 0.278
0.656 0.295 0.278
0.156 0.205 0.722
0.844 0.517 0.722
0.656 0.017 0.722
0.344 0.705 0.722
```

***

(3)
A geometry-optimized LiAg6Sn3 structure, computed with PBE.

POSCAR file:
```
LiAg6Sn3
1.0
7.522 -0.912 -0.933
-1.075 7.500 -0.933
-1.075 -1.099 7.478
Li Ag Sn
2 12 6
direct
0.000 0.000 0.000
0.500 0.500 0.500
0.227 0.747 0.961
0.253 0.039 0.773
0.448 0.813 0.373
0.039 0.773 0.253
0.373 0.448 0.813
0.187 0.627 0.552
0.813 0.373 0.448
0.627 0.552 0.187
0.961 0.227 0.747
0.552 0.187 0.627
0.747 0.961 0.227
0.773 0.253 0.039
0.563 0.861 0.807
0.861 0.807 0.563
0.193 0.437 0.139
0.807 0.563 0.861
0.139 0.193 0.437
0.437 0.139 0.193
```

***

(4)
A geometry-optimized Li3AgSn structure, computed with PBE.

POSCAR file:
```
Li3AgSn
1.0
-2.336 4.520 -1.709
-2.142 -2.372 -3.420
-4.695 -0.045 -0.225
Li Ag Sn
3 1 1
direct
0.788 0.001 0.311
0.021 0.412 0.489
0.597 0.603 0.107
0.208 0.807 0.697
0.394 0.203 0.907
```

Computed properties:
Energy above the most stable polymorph in this dataset   0 kJ/mol of formula units

***

(5)
A geometry-optimized Li2Ag5Sn3 structure, computed with PBE.

POSCAR file:
```
Li2Ag5Sn3
1.0
-3.825 -4.209 -0.183
4.104 -7.414 -3.707
-0.766 -3.521 8.519
Li Ag Sn
4 10 6
direct
0.123 0.723 0.032
0.877 0.277 0.968
0.623 0.032 0.723
0.377 0.968 0.277
0.250 0.500 0.500
0.750 0.500 0.500
0.500 0.750 0.750
0.000 0.250 0.250
0.500 0.250 0.250
0.000 0.750 0.750
0.150 0.508 0.193
0.850 0.492 0.807
0.650 0.193 0.508
0.350 0.807 0.492
0.250 0.000 0.000
0.750 0.000 0.000
0.387 0.409 0.817
0.613 0.591 0.183
0.887 0.817 0.409
0.113 0.183 0.591
```

***

(6)
A geometry-optimized Li2Ag3Sn3 structure, computed with PBE.

POSCAR file:
```
Li2Ag3Sn3
1.0
-0.234 2.445 -3.733
-4.378 -0.149 2.851
4.740 12.568 7.935
Li Ag Sn
4 6 6
direct
0.775 0.550 0.874
0.225 0.450 0.374
0.775 0.550 0.626
0.225 0.450 0.126
0.639 0.279 0.464
0.361 0.721 0.964
0.639 0.279 0.036
0.361 0.721 0.536
0.431 0.861 0.250
0.569 0.139 0.750
0.931 0.862 0.404
0.069 0.138 0.904
0.931 0.862 0.096
0.069 0.138 0.596
0.728 0.456 0.250
____________

Life, otherwise, seems to be no different from what it was during the previous trips to the old country.  The streets that had been washed clean by the flood waters are now back with rotting garbage piling up.  The floods apparently did nothing to remind the vast majority about the delicate ecosystem in which more than eight million live.  As if they woke up from a bad dream, people are back to their bad old habits.
  • The young and the old alike casually toss away the trash, especially after eating fast foods at cafes and mobile stands.
  • The dogs have a field day digging through the scrap and, in the process, stuff gets dispersed all over the streets.
  • The rag pickers toss things out of the bins in their search for anything salvageable and recyclable, which is how they make their living.
The net result: there seems to be a permanent putrefied stink in the air, in addition to the sewage smell at some places--like at the gas distribution agency to which I walked with my father.  It has been quite a few days since my parents had booked for their replacement cooking gas cylinder. The phone calls did not go through.  So, finally we walked over.  At one place, we carefully stepped past the horribly stinking black pool of water all over the road.

The gas agency office had the smell of a structure that had been inundated--the smell was so strong that I rushed out preferring the smell of sewage.  My father joked that these are the instances that he thanks his sinus problems, because of which he is unaware of stinks.

From a public policy perspective, the rotting garbage is a public health menace.  One can easily imagine that the public health implications are not that far away from the London of the old, where a single water pump turned out to be the source of a deadly cholera. 

I am once again ticked off thinking about American politicians, especially the rabidly nativist Republicans, who frequently talk about the US having to compete against India.  I wonder if any of them see and experience this kind of a ground-level reality.  Comfortably ensconced in their own bubbles, America's rich and the middle-class alike hysterically yell about the competition from India, when the reality in India stinks, chokes, and more.

As for the dogs, I wish the locals would elect dogcatchers instead of politicians who are only out to swindle.


Ramesh said...

Yup; a lot is rotten in the state of Tamil Nadu, and all the other states as well.

Civic infrastructure has badly crumbled in the last decade or so and those of us who live here are acutely infected with the boiling frog syndrome. Agglomeration of people in India - be it cities or small towns - are becoming awful places.

Be careful my friend. You do not have the same immunity that we have developed. Be very careful.

Anne in Salem said...

We hear in the news that hundreds died in the flooding, though it was likely more and US media didn't cover it. (Debates to parse, Paul Ryan's facial hair to cover, Star Wars to obsess over, etc.) I wonder how many suffer and die from the aftermath - the raw sewage, garbage, increased potential for disease transmission, contamination of the food supply, etc. We don't hear so much about that. Perhaps there is some sort of immunity, as Ramesh says. Take care.

mahesh said...

Dear Sriram Sir,

Are you in Madras now?

'''
First-principles (meta-GGA SCAN) data for a crystal of HfReSi3 relaxed with PBEsol, as listed in the Alexandria database.

Properties
- space group = Pm-3m
- uncorrected formation energy (eV/f.u.) = 9.7

a = 4.8377 Å, b = 4.8377 Å, c = 4.8377 Å
α = 90.00°, β = 90.00°, γ = 90.00°
With the nearest neighbours (Å) after each atom.
Fractional coordinates of all 5 atoms:
Hf 0.0000 0.0000 0.0000  6 Si 2.42
Re 0.5000 0.5000 0.5000  12 Si 3.42
Si 0.0000 0.0000 0.5000  2 Hf 2.42
Si 0.0000 0.5000 0.0000  2 Hf 2.42
Si 0.5000 0.0000 0.0000  2 Hf 2.42


First-principles (meta-GGA SCAN) data for a crystal of Hf3ReSi relaxed with PBEsol, as listed in the Alexandria database.

Properties
- space group = Pm-3m
- uncorrected formation energy (eV/f.u.) = 3.6

a = 4.9254 Å, b = 4.9254 Å, c = 4.9254 Å
α = 90.00°, β = 90.00°, γ = 90.00°
With the nearest neighbours (Å) after each atom.
Fractional coordinates of all 5 atoms:
Hf 0.0000 0.0000 0.5000  2 Re 2.46
Hf 0.0000 0.5000 0.0000  2 Re 2.46
Hf 0.5000 0.0000 0.0000  2 Re 2.46
Re 0.0000 0.0000 0.0000  6 Hf 2.46
Si 0.5000 0.5000 0.5000  12 Hf 3.48


First-principles (meta-GGA SCAN) data for a crystal of Hf2ReSi2 relaxed with PBEsol, as listed in the Alexandria database.

Properties
- space group = P4/mbm
- uncorrected formation energy (eV/f.u.) = -3.9

a = 6.4552 Å, b = 6.4552 Å, c = 3.8274 Å
α = 90.00°, β = 90.00°, γ = 90.00°
With the nearest neighbours (Å) after each atom.
Fractional coordinates of all 10 atoms:
Hf 0.1722 0.3278 0.0000  6 Si 2.62-2.75
Hf 0.3278 0.8278 0.0000  6 Si 2.62-2.75
Hf 0.6722 0.1722 0.0000  6 Si 2.62-2.75
Hf 0.8278 0.6722 0.0000  6 Si 2.62-2.75
Re 0.0000 0.0000 0.5000  4 Si 2.53
Re 0.5000 0.5000 0.5000  4 Si 2.53
Si 0.1311 0.6311 0.5000  1 Si 2.39, 2 Re 2.53, 2 Hf 2.62
Si 0.3689 0.1311 0.5000  1 Si 2.39, 2 Re 2.53, 2 Hf 2.62
Si 0.6311 0.8689 0.5000  1 Si 2.39, 2 Re 2.53, 2 Hf 2.62
Si 0.8689 0.3689 0.5000  1 Si 2.39, 2 Re 2.53, 2 Hf 2.62


First-principles (meta-GGA SCAN) data for a crystal of HfZrReSi2 relaxed with PBEsol, as listed in the Alexandria database.

Properties
- space group = P4/mmm
- uncorrected formation energy (eV/f.u.) = 7.2

a = 4.7445 Å, b = 4.7445 Å, c = 4.7595 Å
α = 90.00°, β = 90.00°, γ = 90.00°
With the nearest neighbours (Å) after each atom.
Fractional coordinates of all 5 atoms:
Hf 0.0000 0.0000 0.0000  4 Re 3.35, 8 Si 3.36
Zr 0.5000 0.5000 0.5000  4 Si 2.37, 2 Re 2.38
Re 0.5000 0.5000 0.0000  2 Zr 2.38
Si 0.0000 0.5000 0.5000  2 Zr 2.37
Si 0.5000 0.0000 0.5000  2 Zr 2.37


First-principles (meta-GGA SCAN) data for a crystal of SrHfRe2 relaxed with PBEsol, as listed in the Alexandria database.

Properties
- space group = Fm-3m
- formation energy (eV per atom) = 0.94

a = 4.7414 Å, b = 4.7414 Å, c = 4.7414 Å
α = 60.00°, β = 60.00°, γ = 60.00°
With the nearest neighbours (Å) after each atom.
Fractional coordinates of all 4 atoms:
Sr 0.0000 0.0000 0.0000  8 Re 2.90
Hf 0.5000 0.5000 0.5000  8 Re 2.90
Re 0.2500 0.2500 0.2500  4 Hf 2.90, 4 Sr 2.90
'''
_End of the materials data_

Would be honoured to meet you sir.


Sriram Khé said...

"Civic infrastructure has badly crumbled" is one heck of an understatement. I don't mean the physical infrastructure like roads and bridges and hospitals, which are themselves way, way under capacity and even the existing ones are in a terrible shape. But, even worse is the intangible part--from people interactions in the civic space to education to cultural aspects. I cannot understand how India could have become this rotten! The part of the heart where the old country has a special place bleeds like crazy when I see and experience all these.

Ramesh/Anne, yes, I am being extra careful this time. But, there has to be a better way than this.

Mahesh, yes, I am in town. The "sir" and the "honoured" make me sooooooooo old ... until the day that Ramesh treats me with respect and calls me "sir" nobody should ;) My email address is